Oxfordshire DisUnited?

## Crystal structures, kept here for reference
........
Entry 1:
Entry from Alexandria: a relaxed AsPbAu crystal (PBEsol).

Values from the calculation:
As for the density: 11.9 Mg/m³. The calculation puts the energy above the most stable polymorph in this dataset at 165 meV per atom. The total energy is -4.224 eV per atom.

Cell and atoms, written as CIF:
```
data_AsPbAu
_cell_length_a 3.2296
_cell_length_b 3.7415
_cell_length_c 11.0485
_cell_angle_alpha 90.00
_cell_angle_beta 90.00
_cell_angle_gamma 90.00
_symmetry_space_group_name_H-M 'I m m 2'
_symmetry_Int_Tables_number 44
_symmetry_space_group_name_Hall 'I 2 -2'
loop_
_atom_site_label
_atom_site_fract_x
_atom_site_fract_y
_atom_site_fract_z
_atom_site_occupancy
As1 0.0000 0.0000 0.0000 1
Pb1 0.0000 0.0000 0.7103 1
Au1 0.0000 0.0000 0.4016 1
```

=====

Entry 2:
Entry from Alexandria: a relaxed Y2Al crystal (PBEsol).

Values from the calculation:
As for the density: 4.8 Mg/m³. The total energy is -5.936 eV per atom.

Cell and atoms, written as CIF:
```
data_Y2Al
_cell_length_a 5.1328
_cell_length_b 5.1328
_cell_length_c 3.1325
_cell_angle_alpha 90.00
_cell_angle_beta 90.00
_cell_angle_gamma 120.00
_symmetry_space_group_name_H-M 'P 6/m m m'
_symmetry_Int_Tables_number 191
_symmetry_space_group_name_Hall '-P 6 2'
loop_
_atom_site_label
_atom_site_fract_x
_atom_site_fract_y
_atom_site_fract_z
_atom_site_occupancy
Y1 0.3333 0.6667 0.0000 1
Al1 0.0000 0.0000 0.5000 1
```

=====

Entry 3:
Entry from Alexandria: a relaxed InRhBr2 crystal (PBEsol).

Values from the calculation:
As for the density: 7.3 Mg/m³. The calculation puts the energy above the most stable polymorph in this dataset at 533 meV per atom. For the formation energy without anion corrections, the calculation gives 311 meV/atom. The total energy is -3.404 eV per atom.

Cell and atoms, written as CIF:
```
data_InRhBr2
_cell_length_a 3.9604
_cell_length_b 3.9604
_cell_length_c 10.9756
_cell_angle_alpha 90.00
_cell_angle_beta 90.00
_cell_angle_gamma 90.00
_symmetry_space_group_name_H-M 'I -4 m 2'
_symmetry_Int_Tables_number 119
_symmetry_space_group_name_Hall 'I -4 -2'
loop_
_atom_site_label
_atom_site_fract_x
_atom_site_fract_y
_atom_site_fract_z
_atom_site_occupancy
In1 0.0000 0.0000 0.0000 1
Rh1 0.0000 0.5000 0.2500 1
Br1 0.0000 0.0000 0.5000 1
Br2 0.0000 0.5000 0.7500 1
```

=====

Entry 4:
Entry from Alexandria: a relaxed BaCr2Cu crystal (PBEsol).

Values from the calculation:
As for the density: 5.8 Mg/m³. The calculation puts the energy above the most stable polymorph in this dataset at 400 meV per atom. The total energy is -5.546 eV per atom.

Cell and atoms, written as CIF:
```
data_BaCr2Cu
_cell_length_a 4.4895
_cell_length_b 4.4895
_cell_length_c 8.5924
_cell_angle_alpha 90.00
_cell_angle_beta 90.00
_cell_angle_gamma 90.00
_symmetry_space_group_name_H-M 'I 4/m m m'
_symmetry_Int_Tables_number 139
_symmetry_space_group_name_Hall '-I 4 2'
loop_
_atom_site_label
_atom_site_fract_x
_atom_site_fract_y
_atom_site_fract_z
_atom_site_occupancy
Ba1 0.0000 0.0000 0.0000 1
........

Pictures of Oxfordshire county splitting

-- begin --
(1)
## Zr4Ga2Pd (GGA-PBE)

Data for Zr4Ga2Pd after structural relaxation.

Computed properties:
The total magnetic moment is 0.0 μB/f.u. The value obtained for the density of states at the Fermi level is 5.38 states/eV per cell. The energy of formation comes out at 174 kJ/mol of formula units.

Unit cell a=5.054 b=5.054 c=7.595 alpha=70.57 beta=70.57 gamma=90.00
Fractional positions:
Ga 0.394 0.394 0.212
Ga 0.606 0.606 0.788
Zr 0.196 0.196 0.607
Zr 0.804 0.804 0.393
Zr 0.000 0.500 0.000
Zr 0.500 0.000 0.000
Pd 0.000 0.000 0.000

(2)
## Pm2Cu7 (GGA-PBE)

Data for Pm2Cu7 after structural relaxation.

Computed properties:
The total magnetic moment is 0.0 μB/f.u. The value obtained for the density of states at the Fermi level is 14.50 states/eV per cell. The energy of formation comes out at -134 kJ/mol of formula units.

Unit cell a=5.195 b=5.195 c=12.857 alpha=78.34 beta=78.34 gamma=60.00
Fractional positions:
Pm 0.051 0.051 0.848
Pm 0.949 0.949 0.152
Pm 0.148 0.148 0.556
Pm 0.852 0.852 0.444
Cu 0.500 0.500 0.500
Cu 0.279 0.279 0.164
Cu 0.721 0.721 0.836
Cu 0.388 0.388 0.837
Cu 0.612 0.612 0.163
Cu 0.500 0.000 0.000
Cu 0.000 0.500 0.000
Cu 0.500 0.500 0.000
Cu 0.609 0.609 0.674
Cu 0.609 0.109 0.674
Cu 0.109 0.609 0.674
Cu 0.391 0.391 0.326
Cu 0.391 0.891 0.326
Cu 0.891 0.391 0.326

(3)
## MgTiOs2 (GGA-PBE)

Data for MgTiOs2 after structural relaxation.

Computed properties:
The total magnetic moment is 0.0 μB/f.u. The value obtained for the density of states at the Fermi level is 6.27 states/eV per cell. The energy of formation comes out at 255 kJ/mol of formula units.

Unit cell a=4.022 b=4.022 c=9.391 alpha=77.63 beta=77.63 gamma=90.00
Fractional positions:
Mg 0.500 0.500 0.000
Mg 0.250 0.750 0.500
Os 0.699 0.125 0.250
Os 0.051 0.625 0.250
Os 0.375 0.301 0.750
Os 0.875 0.949 0.750
Ti 0.000 0.000 0.000
Ti 0.750 0.250 0.500

(4)
## LaPr3Er6 (GGA-PBE)

Data for LaPr3Er6 after structural relaxation.

Computed properties:
The total magnetic moment is 0.0 μB/f.u. The value obtained for the density of states at the Fermi level is 18.60 states/eV per cell. The energy of formation comes out at 215 kJ/mol of formula units.

Unit cell a=6.596 b=9.658 c=9.593 alpha=139.50 beta=110.11 gamma=90.00
Fractional positions:
La 0.500 0.500 0.000
Pr 0.571 0.944 0.142
Pr 0.429 0.056 0.858
Pr 0.000 0.000 0.000
Er 0.433 0.560 0.372
Er 0.062 0.440 0.628
Er 0.567 0.440 0.628
Er 0.938 0.560 0.372
Er 0.137 0.852 0.274
Er 0.863 0.148 0.726


Below is a geometry-optimized Ti2NiTe6 structure, with properties calculated at the PBE-GGA level.

Cell: 6.4670 6.4670 11.6257 Å, 90.00 90.00 90.00°
Last column: nearest neighbours and their distance in Å.
Space group P4_2/mnm (No. 136)
One atom of each set of equivalent atoms:
Ti 0.0000 0.0000 0.1536  6 Te 2.67-2.81
Ni 0.0000 0.0000 0.5000  6 Te 2.59-2.64
Te 0.1934 0.1934 0.3316  1 Ni 2.64, 2 Ti 2.72-2.81
Te 0.2171 0.2171 0.0000  1 Ni 2.59, 2 Ti 2.67

Results
DOS at the Fermi energy ... 0.693 states/eV/atom
-- stop --
The records of crystals stop here:

Enough is Enough is deeply disappointed, but not surprised, that Cabinet recommended that Full Council adopt £69m of budget cuts to front-line services on 16 February. Whilst respecting the legal duty to provide for a balanced budget, this is a smokescreen for proper debate about the morality of cutting services to children’s centres, voluntary run day services and many other prevention services, including rural bus services, which prevent social isolation. A brave decision would have been to listen to local residents, reject the budget proposed and lobby national government for a better settlement. Let the hunger games begin.

We mustn’t see these cuts in isolation. They come on top of year-on-year downward pressure on social care budgets, which are creating an environment for registered social care businesses to be unable to work in the County (many home care businesses have pulled out of the Oxfordshire market over the past few years). Nationally, there is huge pressure on care homes with a prediction that 50% may go out of businesses in the next few years with a catastrophic effect on social care and the NHS. These potential pressures are harder to see because they are accumulating in different places; unlike Southern Cross, where one organisation went under.

There has to be a better way to respond to the ideological demolition of public services by national government and the short-sighted destruction of the very prevention services that save the tax-payer £millions by local government. Oxfordshire devolution is the latest game in town; a formal integration of NHS and social care that builds on Oxfordshire’s long-standing and successful pooled budget arrangements. A cautionary note – the NHS doesn’t get social care; a diverse, creative, innovative, market-driven businesses are anathema to a state-run, controlling, overly bureaucratic national treasure. It is a match made somewhere else but in heaven. #Enough is Enough fears OxDevo will be a combination of local political governance coupled with the long arm of Westminster – the worst of both worlds. And we haven’t yet mentioned clinicians. Let the power struggles begin.

One of the lowest profile issues in Oxfordshire during this season of budget cuts is the focus on local government reform; in particular the debate about unitary councils. It tends to raise it’s head usually in the context of fewer councils would mean less democracy.

Enough is Enough proposes that in the current climate of fast reducing resources for front-line services, the luxury of six councils, and assorted councillors, is not something the people of Oxfordshire can afford. With a population of only 650,000 a single authority can adequately represent its residents, but it needs the political will to move this forward, either locally through debate, or nationally through legislation. Let musical chairs begin.

(The article is interrupted by calculated crystals)
+++
## K2ZnSb3Pt4 (GGA-PBE)

Data for a relaxed structure of K2ZnSb3Pt4.

- uncorrected formation energy (eV per formula unit) = -4.70
- D(E_F) (states/eV per atom) = 0.62

abc: 4.6956 4.6956 10.5235
angles: 90.00 90.00 90.00
Space group P-4m2 (No. 115)
Symmetry-distinct sites (fractional):
K1 0.0000 0.5000 0.2474 [2 per cell]
Zn1 0.5000 0.5000 0.0000 [1 per cell]
Sb1 0.0000 0.0000 0.0000 [1 per cell]
Sb2 0.0000 0.5000 0.6277 [2 per cell]
Pt1 0.0000 0.0000 0.5000 [1 per cell]
Pt2 0.0000 0.5000 0.8832 [2 per cell]
Pt3 0.5000 0.5000 0.5000 [1 per cell]

* * * * *

Density functional theory data (PBE-GGA) for RbY2Os after structural relaxation.

Output
volume	825	Å³ per cell
magnetic moment	0.0	μB per cell
formation enthalpy at 0 K	0.624	eV/atom
ΔE to the lowest computed polymorph	0.000	eV per atom

abc: 8.3444 8.3444 11.8550
angles: 90.00 90.00 90.00
With the nearest neighbours (Å) after each atom.
Space group I4_1/amd (No. 141, origin choice 2)
Inequivalent atoms, fractional coordinates:
1 Rb 0.0000 0.2500 0.3750 [4 per cell]  12 Y 4.89-4.91, 4 Os 5.12, 4 Rb 5.12
2 Y 0.0000 0.0000 0.0000 [8 per cell]  2 Os 2.56
3 Os 0.0000 0.2500 0.8750 [4 per cell]  4 Y 2.56

***

Density functional theory data (PBE-GGA) for Rb2YOs after structural relaxation.

Output
volume	489	Å³ per cell
magnetic moment	0.0	μB per cell
formation enthalpy at 0 K	1.777	eV/atom
ΔE to the lowest computed polymorph	0.558	eV per atom

abc: 7.8794 7.8794 7.8794
angles: 90.00 90.00 90.00
With the nearest neighbours (Å) after each atom.
Space group Fm-3m (No. 225)
Inequivalent atoms, fractional coordinates:
1 Rb 0.2500 0.2500 0.2500 [8 per cell]  4 Os 3.41, 4 Y 3.41
2 Y 0.0000 0.0000 0.0000 [4 per cell]  8 Rb 3.41
3 Os 0.0000 0.0000 0.5000 [4 per cell]  8 Rb 3.41

* * * * *

[1]
Here is a relaxed structure of AlSiRu2 from Alexandria. Energies are from GGA-PBE.

Cell: 7.9149 7.9149 7.9149 Å, 20.93 20.93 20.93°
Element x y z (fractional)
Ru1 0.5047 0.5047 0.5047
Ru2 0.9953 0.9953 0.9953
Al1 0.7500 0.7500 0.7500
Si1 0.2500 0.2500 0.2500

=====

[2]
Here is a relaxed structure of YCoSi from Alexandria. Energies are from GGA-PBE.

Cell: 3.9910 3.9910 3.9098 Å, 90.00 90.00 120.00°
Element x y z (fractional)
Si1 0.3333 0.6667 0.1668
Co1 0.0000 0.0000 0.1664
Y1 0.6667 0.3333 0.6668

=====

[3]
Here is a relaxed structure of Li2AsIrO6 from Alexandria. Energies are from GGA-PBE.

Cell: 4.8808 5.2222 5.2222 Å, 90.00 90.00 90.00°
Element x y z (fractional)
As1 0.5945 0.0000 0.0000
O1 0.7339 0.2503 0.7497
Li1 0.9139 0.0000 0.5000
O2 0.2377 0.5000 0.5000
Li2 0.9139 0.5000 0.0000
O3 0.2514 0.0000 0.0000
O4 0.7339 0.2503 0.2503
O5 0.7339 0.7497 0.2503
O6 0.7339 0.7497 0.7497
Ir1 0.5998 0.5000 0.5000

=====

Energy relative to the elements, uncorrected list, top to bottom, in meV per atom: -390; -637; -1046
Energy list, top to bottom, in eV for the cell shown: -29.3; -20.9; -57.5
+++

As we move further into uncharted territory and the public sector delivery roll-back continues unchecked, we face stark choices. If front-line services (and service users) are being asked to shoulder the burden of this latest scything, we need our leaders in local government and the NHS to put aside their territorial battles. However, unlike fans of our beloved local football club, we are not optimistic. Oxfordshire feels very disunited at the moment.